Who Uses Pyomo?


  • Rose-Hulman, UC Davis, U Texas, Iowa State, Naval Postgraduate School



  • Sandia National Laboratories

  • Federal Energy Regulatory Agency

  • Lawrence Livermore National Laboratory

Next to the article, the page also holds data records =
'''
Record 1
Starting from a structure optimized by DFT (GGA+U), the X-ray powder pattern of MgV8O8F8 was simulated for Cu Kα (λ = 1.5418 Å).
Lines closer than 0.1° are merged.

Top 8 peaks for 15° ≤ 2θ ≤ 90°, by angle:
two_theta, Rel. int.
25.3, 91
26.7, 100
33.8, 27
34.3, 24
34.5, 56
51.4, 30
52.0, 30
59.6, 21

Structure:
a b c (Å): 4.964 5.677 10.445
angles (deg): 96.23 90.47 92.96
Space group P1 (No. 1)
One atom of each set of equivalent atoms:
Mg 0.000 0.000 0.000 [1 per cell]
V 0.004 0.140 0.377 [1 per cell]
V 0.016 0.578 0.849 [1 per cell]
V 0.018 0.875 0.633 [1 per cell]
V 0.484 0.915 0.148 [1 per cell]
V 0.500 0.641 0.379 [1 per cell]
V 0.508 0.121 0.868 [1 per cell]
V 0.528 0.354 0.600 [1 per cell]
V 0.987 0.439 0.124 [1 per cell]
O 0.155 0.907 0.819 [1 per cell]
O 0.170 0.705 0.047 [1 per cell]
O 0.191 0.148 0.551 [1 per cell]
O 0.311 0.930 0.305 [1 per cell]
O 0.695 0.340 0.438 [1 per cell]
O 0.828 0.580 0.688 [1 per cell]
O 0.835 0.111 0.179 [1 per cell]
O 0.860 0.318 0.949 [1 per cell]
F 0.165 0.439 0.300 [1 per cell]
F 0.322 0.660 0.561 [1 per cell]
F 0.329 0.201 0.058 [1 per cell]
F 0.349 0.406 0.788 [1 per cell]
F 0.662 0.825 0.950 [1 per cell]
F 0.671 0.616 0.194 [1 per cell]
F 0.694 0.074 0.686 [1 per cell]
F 0.835 0.844 0.450 [1 per cell]

***

Record 2
Starting from a structure optimized by DFT (GGA+U), the X-ray powder pattern of MgFeCo5O12 was simulated for Cu Kα (λ = 1.5418 Å).
Lines closer than 0.1° are merged.

Top 8 peaks for 15° ≤ 2θ ≤ 90°, by angle:
two_theta, Rel. int.
17.9, 100
36.3, 14
36.8, 16
38.0, 14
44.2, 15
47.3, 16
57.6, 10
64.8, 9

Structure:
a b c (Å): 5.000 8.584 9.999
angles (deg): 90.00 97.61 90.00
Space group Cm (No. 8)
One atom of each set of equivalent atoms:
Mg 0.000 0.000 0.000 [2 per cell]
Fe 0.103 0.500 0.735 [2 per cell]
Co 0.080 0.333 0.251 [4 per cell]
Co 0.085 0.000 0.263 [2 per cell]
Co 0.110 0.167 0.753 [4 per cell]
O 0.201 0.158 0.150 [4 per cell]
O 0.237 0.500 0.154 [2 per cell]
O 0.283 0.000 0.858 [2 per cell]
O 0.316 0.336 0.856 [4 per cell]
O 0.402 0.179 0.655 [4 per cell]
O 0.441 0.000 0.349 [2 per cell]
O 0.445 0.329 0.349 [4 per cell]
O 0.447 0.500 0.654 [2 per cell]

----------

Structure and simulated powder XRD pattern of Er5Ir3 (a crystal structure in the Materials Project, relaxed with GGA-PBE; Cu Kα).
No peak broadening, texture or thermal motion is included.

Peak list (10 most intense, 2θ from 5° to 70°, most intense first)
2θ (°)  Rel. int.  hkl
37.20  100  4 2 0
33.85  42  2 1 2
29.73  38  3 1 1
33.09  33  3 2 1
38.79  25  3 1 2
46.97  21  2 1 3
37.84  20  3 0 2
47.59  17  5 2 1
23.16  16  2 1 1
59.66  14  1 1 4

```
'''
End of the data records =

  • Los Alamos National Laboratory

  • National Energy Technology Laboratory

  • National Renewable Energy Laboratory


  • University of California, Davis

  • Carnegie Mellon University

  • George Mason University

  • Imperial College London

  • Iowa State University

  • Naval Postgraduate School

  • North Carolina State University

  • Università di Pisa

  • Purdue University

  • Rose‑Hulman Institute of Technology

  • Universidad de Santiago de Chile

  • University of Notre Dame

  • University of Southern California

  • University of Texas

  • University of Washington

Software Projects

  • Dispa-SET is a unit commitment and dispatch model focused on balancing and flexibility problems in European grids.

  • The IDAES-PSE Toolkit, an open source optimization-based framework for the design and optimization of chemical processes.

  • Minpower is an open source toolkit for students and researchers in power systems. It is designed to make working with ED, OPF, and UC problems simple and intuitive. The goal is to foster collaboration with other researchers and to make learning easier for students.

  • Open Energy Modelling Framework (oemof) is a modular, open framework for developing energy models that emphasizes communication, documentation, and community involvement.

  • OpenAgua is a web-based application for modeling water systems for water resources planning and management.

  • OptiType is an HLA genotyping algorithm based on integer programming, capable of producing accurate 4-digit HLA genotyping predictions from NGS data by simultaneously selecting all minor and major HLA-I alleles.

  • PowerGAMA is an open-source Python package for power system grid and market analyses.

  • PyPSA is a free software toolbox for simulating and optimizing modern electric power systems that include features such as variable wind and solar generation, storage units and mixed alternating and direct current networks.

  • RBFOpt is a software library for black-box (also known as derivative-free) optimization.

  • SolverStudio for Excel includes a plugin for Pyomo for formulating and analyzing optimization models developed within Excel.

  • The TEMOA Project provides an open source framework for developing and archiving energy economy optimization models. TEMOA leverages Pyomo for open source modeling of linear and integer programs.

  • The Water Security Toolkit (WST) integrates water distribution network simulation and optimization to support the design of contamination warning systems and response action plans.


  • Noah Gift describes how to use Pyomo to solve mathematical programs. Additionally, Noah provides a scripting example implementing a greedy heuristic for solving the Traveling Salesman Problem.